Challenging contentious race content as a school governor

Entry 1:
{
  "formula": "C35H52P3ReSSb",
  "method": "the ωB97M-V functional and the def2-TZVPD basis",
  "species": ["Re", "P", "P", "P", "H", "C", "C", "H", "C", "C", "C", "C", "C", "C", "C", "C", "C", "H", "H", "H", "H", "H", "H", "H", "H", "H", "H", "H", "H", "H", "H", "H", "H", "H", "H", "H", "H", "H", "H", "H", "H", "H", "H", "H", "H", "H", "C", "C", "C", "C", "C", "C", "S", "H", "H", "H", "H", "H", "H", "C", "C", "C", "C", "C", "C", "Sb", "C", "C", "C", "C", "C", "C", "C", "C", "C", "C", "C", "C", "H", "H", "H", "H", "H", "H", "H", "H", "H", "H", "H", "H", "H", "H", "H"],
  "coordinates": [[0.77, -0.68, -1.07], [-0.35, -0.31, -3.01], [0.20, -2.85, -0.77], [2.82, -1.13, -1.93], [5.25, 4.75, 2.32], [5.88, 4.89, 1.44], [5.51, 5.73, 0.45], [4.51, 6.20, 0.44], [-1.91, 0.64, -2.93], [-0.85, -1.73, -4.03], [0.61, 0.71, -4.20], [0.88, -3.50, 0.81], [-1.57, -3.37, -0.68], [0.75, -4.14, -1.95], [3.90, 0.32, -2.21], [2.97, -1.99, -3.54], [3.88, -2.17, -0.86], [6.90, 4.45, 1.48], [6.24, 6.06, -0.31], [-1.76, 1.65, -2.53], [-2.64, 0.13, -2.29], [-2.32, 0.72, -3.95], [-1.47, -2.43, -3.46], [0.02, -2.27, -4.41], [-1.43, -1.34, -4.87], [1.05, 1.59, -3.70], [-0.12, 1.05, -4.96], [1.40, 0.13, -4.68], [0.37, -4.45, 1.04], [0.70, -2.80, 1.64], [1.96, -3.67, 0.73], [-1.62, -4.46, -0.72], [-2.14, -2.97, -1.52], [-2.05, -3.01, 0.24], [0.29, -5.09, -1.63], [1.84, -4.27, -1.95], [0.43, -3.91, -2.97], [4.87, -0.08, -2.53], [4.02, 0.90, -1.29], [3.48, 0.95, -3.00], [4.00, -2.38, -3.58], [2.82, -1.28, -4.37], [2.27, -2.83, -3.63], [4.87, -2.19, -1.32], [3.50, -3.20, -0.78], [3.95, -1.74, 0.15], [2.03, 1.85, 0.35], [2.63, 0.84, 1.11], [3.76, 1.13, 1.87], [4.15, 2.48, 1.98], [3.41, 3.50, 1.37], [2.43, 3.19, 0.46], [0.72, 1.67, -0.79], [0.34, -0.11, 0.59], [2.18, -0.15, 1.10], [4.33, 0.32, 2.34], [5.08, 2.71, 2.51], [3.60, 4.56, 1.51], [1.97, 3.93, -0.19], [-6.17, -2.36, 0.45], [-5.78, -1.42, -0.51], [-4.55, -0.76, -0.39], [-3.69, -1.09, 0.66], [-4.09, -1.98, 1.65], [-5.33, -2.63, 1.53], [-1.66, -0.07, 0.73], [-2.78, 1.84, 0.96], [-2.54, 2.92, 0.11], [-3.43, 4.00, 0.11], [-4.52, 4.03, 0.99], [-4.72, 2.95, 1.87], [-3.84, 1.87, 1.86], [-1.21, -0.30, 2.87], [-1.05, 0.84, 3.65], [-0.77, 0.72, 5.02], [-0.64, -0.54, 5.60], [-0.78, -1.69, 4.81], [-1.06, -1.57, 3.44], [-7.13, -2.87, 0.35], [-6.43, -1.20, -1.36], [-4.27, 0.02, -1.11], [-3.45, -2.20, 2.51], [-5.65, -3.35, 2.28], [-1.68, 2.92, -0.55], [-3.27, 4.84, -0.57], [-5.21, 4.87, 0.99], [-5.56, 2.97, 2.57], [-4.03, 1.03, 2.55], [-1.12, 1.84, 3.20], [-0.65, 1.62, 5.63], [-0.42, -0.64, 6.67], [-0.65, -2.69, 5.25], [-1.17, -2.48, 2.83]],

A London school governor decided he couldn’t ignore his unease with the school’s anti-racist training (presented by an external third-party anti-racist trainer). He offered his considered objections, and found others agreed. The trainer’s recommendations are not being adopted wholesale. We hope more governors will follow!

-- Inserted here: molecular data --
- - -
Record 1
Entry from the OMol25 dataset: a structure of composition C13H20BrF3N2O5P2PtS (ωB97M-V/def2-TZVPD).

The calculation puts the energy relative to the best compared isomer or geometry (same formula, charge and spin) at 0.8 kcal per mole. The net charge is +2.

Positions of all 48 atoms, in Å:
Pt1 -0.90 -0.84 0.28
C1 -0.38 3.44 1.46
P1 0.91 2.97 0.34
C2 1.81 4.40 -0.23
C3 2.07 1.86 1.13
C4 1.57 0.67 1.95
P2 1.11 -0.94 1.18
C5 2.51 -1.39 0.12
C6 1.17 -1.99 2.64
H1 0.05 3.95 2.33
H2 -0.93 2.56 1.79
H3 -1.07 4.12 0.96
H4 2.23 4.93 0.62
H5 1.13 5.07 -0.76
H6 2.61 4.10 -0.90
H7 2.59 2.55 1.82
H8 2.82 1.57 0.39
H9 0.74 0.97 2.60
H10 2.38 0.39 2.63
H11 2.53 -2.47 -0.02
H12 3.45 -1.09 0.60
H13 2.43 -0.91 -0.85
H14 2.16 -1.96 3.09
H15 0.92 -3.01 2.39
H16 0.43 -1.62 3.36
O1 -0.26 -3.66 -5.13
C7 -0.38 -3.03 -3.97
C8 -0.83 -1.71 -3.83
C9 -0.90 -1.18 -2.57
N1 -0.56 -1.86 -1.45
C10 -0.18 -3.14 -1.60
Br1 0.17 -4.15 -0.06
C11 -0.06 -3.75 -2.82
H17 -0.53 -3.11 -5.88
H18 -1.13 -1.12 -4.68
H19 -1.28 -0.18 -2.42
H20 0.26 -4.78 -2.90
F1 -3.34 -2.06 2.27
C12 -4.00 -0.90 2.33
F2 -5.22 -1.05 1.87
F3 -4.01 -0.46 3.57
S1 -3.11 0.33 1.27
O2 -2.99 -0.31 -0.07
O3 -3.76 1.58 1.38
O4 -1.68 0.30 1.81
O5 -0.60 2.39 -3.11
C13 -0.18 2.34 -2.04
N2 0.23 2.17 -0.91


Record 2
Entry from the OMol25 dataset: a cluster of 9 separate species, C13H20Cl14F2O6 in total at a distorted geometry (ωB97M-V/def2-TZVPD).

As for the SMILES: O=C1OC[C@@H](F)O1.O=C1OC[C@@H](F)O1.ClCCl.ClCCl.ClCCl.ClCCl.ClCCl.ClCCl.ClCCl. The net charge is 0.

Positions of all 55 atoms, in Å:
O1 0.26 -2.49 -1.49
C1 0.19 -1.44 -0.94
O2 0.84 -0.34 -1.36
C2 0.52 0.76 -0.45
C3 -0.56 0.20 0.47
F1 -1.84 0.65 0.15
O3 -0.51 -1.21 0.20
H1 1.41 0.96 0.14
H2 0.28 1.64 -1.03
H3 -0.39 0.32 1.54
O4 3.94 0.87 1.71
C4 3.44 0.00 2.26
O5 3.99 -0.71 3.24
C5 3.17 -1.83 3.49
C6 1.80 -1.47 2.85
F2 0.91 -0.97 3.79
O6 2.18 -0.46 1.97
H4 3.56 -2.74 3.01
H5 3.00 -2.01 4.55
H6 1.36 -2.30 2.31
Cl1 1.82 -6.01 0.19
C7 0.14 -5.42 0.14
Cl2 -0.34 -4.58 1.59
H7 0.05 -4.80 -0.74
H8 -0.49 -6.29 -0.01
Cl3 -2.42 0.46 -3.06
C8 -1.37 -0.13 -4.35
Cl4 -1.91 -1.66 -5.03
H9 -1.42 0.63 -5.13
H10 -0.37 -0.27 -4.00
Cl5 -5.30 0.48 1.01
C9 -4.60 1.27 -0.43
Cl6 -5.81 2.20 -1.33
H11 -3.82 1.92 -0.07
H12 -4.23 0.51 -1.09
Cl7 1.58 4.26 -0.90
C10 1.79 4.50 0.85
Cl8 1.14 3.17 1.78
H13 2.86 4.59 1.02
H14 1.36 5.45 1.12
Cl9 -2.55 2.49 2.77
C11 -2.74 0.87 3.49
Cl10 -2.31 0.84 5.18
H15 -3.77 0.60 3.33
H16 -2.08 0.21 2.95
Cl11 -1.97 3.85 -1.27
C12 -2.37 3.96 -2.99
Cl12 -0.98 3.60 -4.00
H17 -3.16 3.25 -3.21
H18 -2.73 4.97 -3.15
Cl13 3.71 -1.90 -0.64
C13 3.57 -2.46 -2.29
Cl14 5.02 -3.35 -2.79
H19 2.69 -3.07 -2.40
H20 3.51 -1.61 -2.95


Record 3
Entry from the OMol25 dataset: the molecule C13H20ClNO2 (ωB97M-V/def2-TZVPD).

The calculation puts the energy relative to the best compared isomer or geometry (same formula, charge and spin) at 0.6 kcal per mole. As for the SMILES: Cc1ccc(Cl)c(OC[C@H](O)CNC(C)C)c1. The net charge is 0.

Positions of all 37 atoms, in Å:
- - -
-- Here the text continues --

The local authority’s schools improvement partner enquired about ‘racial justice’ in a 2022 school development plan. The authority had also been offering racial justice training to governors. In line with this, the school organised for equalities training for staff, to be delivered by a specialist in this area.

In my capacity as school governor for equalities, I was invited to attend the training presentation. I approached it with an open mind, and found some positives in it, such as encouraging the celebration of physical differences, and highlighting positive role-models from ethnic minority groups within the classroom. 

Lots of the presentation material, however, was contentious, and I made this clear in my report to the school governing body, which is customary following a ‘link-governor’ visit. I expressed my concerns about many aspects of the presentation, including the use of US-origin terminology in the presentation, the deployment of Critical Social Justice terminology such as ‘anti-racism’ or ‘global-majority’, and a contentious definition of racism that implied it was perpetuated by ‘systems’ and only ‘Black and Brown people’ could be victims.

My report highlighted some of the potential problems of the claims and suggestions of the presentation, and recommended that it be considered critically by governors. I stated that while those who worked in the school daily were best placed to judge which equalities interventions were most appropriate, duties to impartiality and the concerns of parents should also be considered.

## Inserted here: records of molecules
********
Entry from the OMol25 dataset: C9H62NO23Pd as an isolated structure at a distorted geometry (ωB97M-V with the def2-TZVPD basis set).

```
96
Properties=species:S:1:pos:R:3:forces:R:3
Pd 0.036027 -1.179714 1.455566 -0.60 0.33 -0.73
C -2.191863 2.875646 -3.878804 -0.14 0.33 -0.61
C -0.840233 2.240216 -4.310134 -0.64 1.86 -0.12
C -0.204343 3.424166 -5.170904 1.22 -0.52 2.13
C 0.387997 4.532816 -4.243094 1.03 -0.71 -0.88
C 1.382287 4.003976 -3.173024 -1.03 -0.12 -0.93
C 0.764417 2.932816 -2.248654 -1.22 0.89 -2.09
N 0.067777 1.872576 -3.158454 2.01 0.53 -0.51
O -0.324803 0.764936 -2.407564 -1.33 -0.35 0.92
C -0.180903 3.619946 -1.280694 -0.43 0.35 1.50
C 1.905437 2.409686 -1.425104 0.36 -1.82 1.03
C -1.144783 1.121436 -5.351944 0.41 -0.31 1.06
H -2.027943 3.838726 -3.395374 -0.01 -0.28 0.45
H -2.924693 2.281226 -3.333164 0.43 -0.05 0.04
H -2.684903 3.201996 -4.794504 -0.27 -0.29 -0.24
H -0.871603 3.840736 -5.925444 -0.29 -0.17 0.27
H 0.656517 3.020486 -5.703864 0.08 -0.18 -0.13
H -0.336773 5.223166 -3.811554 -0.12 -0.17 0.02
H 1.048657 5.096856 -4.901494 -0.27 0.60 -0.10
H 1.764397 4.903446 -2.690274 -0.16 -0.16 0.76
H 2.276087 3.577196 -3.628094 -0.15 -0.22 -0.47
H -0.325053 3.028046 -0.376824 -0.32 -0.46 -0.10
H -1.164733 3.971206 -1.591834 0.20 -0.32 -0.44
H 0.294947 4.484406 -0.817684 0.30 0.35 -0.32
H 2.784027 2.057486 -1.965594 -0.06 0.17 -0.51
H 1.600577 1.557076 -0.818294 -0.33 -0.34 -0.13
H 2.255747 3.086836 -0.646104 -0.13 0.74 -0.35
H -0.229583 0.586996 -5.606684 0.04 -0.07 0.02
H -1.580323 1.505446 -6.274404 0.17 0.48 0.10
H -1.889263 0.409446 -4.995694 0.11 -0.16 0.31
O -2.037513 -1.527074 -2.696434 -0.45 -1.13 0.27
H -1.607693 -1.753554 -3.521164 0.13 0.10 -0.26
H -1.759433 -0.628354 -2.519774 0.67 1.38 -0.05
O 0.262317 -1.969004 -0.608674 -0.07 0.42 0.40
H -0.123683 -1.509364 -1.354304 -0.37 0.73 -0.41
H 0.768587 -2.680274 -1.001134 0.39 -0.96 -0.05
O 2.148507 -0.784394 1.377356 0.29 -0.02 0.29
H 2.701387 -0.439834 2.078666 0.05 0.14 0.51
H 2.644997 -0.617204 0.576246 0.04 0.10 -0.89
O -3.413693 1.657026 -1.116074 -0.48 0.04 0.63
H -2.504573 1.666426 -1.415504 0.60 -0.08 -0.33
H -3.879443 1.147286 -1.779004 -0.09 -0.15 -0.16
O 3.967277 -0.709464 3.529096 -0.12 -0.06 0.04
H 4.801777 -1.163464 3.646226 0.39 -0.06 -0.10
H 3.595587 -0.659474 4.409766 -0.05 0.21 0.21
O 2.702867 -3.948924 3.717126 -0.07 -0.20 0.03
H 2.246707 -4.254914 4.501046 0.01 -0.34 0.46
H 3.340367 -3.313624 4.043026 0.25 0.24 -0.09
O -4.598973 -1.048054 1.863916 0.11 -0.16 0.08
H -5.146033 -1.501354 2.505376 -0.12 -0.19 0.19
H -5.137133 -0.315184 1.564726 0.03 0.35 -0.26
O -3.083053 -5.140784 2.729726 -0.70 -0.07 0.25
H -3.534803 -4.711674 2.003076 -0.24 0.13 -0.13
H -2.190873 -5.276924 2.410806 0.20 0.11 0.29
O 3.732307 2.156436 1.421186 -0.22 -0.05 0.16
H 4.502757 1.849306 1.898996 0.20 0.00 0.27
H 3.952147 2.021766 0.499366 -0.10 0.09 -0.40
O 0.664787 -0.083934 5.765046 0.04 -0.20 0.43
H 0.603717 0.728666 6.267216 -0.10 0.29 0.19
********

Framing my concerns in this way was successful, and I received positive feedback for my report across the board. Most importantly, the report created an environment where both teaching staff and fellow governors felt confident enough to share similar criticisms and concerns about the content of the presentation, and did not feel the need to hastily implement any of its recommendations without due consideration.

I have found that being frank, honest and objective, identifying those who have similar views, and empowering them to express their discomfort, can be a powerful method of challenging ideological content delivered within a school.